
Pam Kearns is Emeritus Professor of Clinical Paediatric Oncology at the University of Birmingham, where she was Director of the University of Birmingham’s Cancer Research UK Clinical Trials Unit from 2011-2023 and Director of the Institute of Cancer and Genomic Sciences from 2021-2024. Her research is focussed of drug development and innovation in the design and delivery of national and international clinical trials for childhood cancers. Prior to taking on the role of President of ITCC in January 2024, she was an ITCC Executive Board member and Chair of the ITCC Sponsors Committee. She is a Founding Board member of the International multi-stakeholder platform ‘ACCELERATE’. She was President of the European Society of Paediatric Oncology (SIOPE) from 2019 -2021 and continues to serve on the SIOPE Board. Prof. Kearns chairs the Research Assessment Panel for the Great Ormond Street Hospital Charity and the Independent Scientific Advisory Panel for Bone Cancer Research Trust and is a member of UK’s National Institute for Health Research (NIHR) Invention for Innovation (i4i) funding Committee. She is a Trustee for Cancer Research UK and chairs of the Board of Trustees for A Child of Mine, a charity dedicated to supporting bereaved parents.

Prof. Andy Pearson is formerly a Cancer Research UK Professor of Paediatric Oncology, at the Institute of Cancer Research and the Royal Marsden Hospital NHS Trust. Prof Pearson led the first paediatric Phase I study in the UK. He was Chair of National Cancer Research Institute Children’s Cancer and Leukaemia Clinical Studies Group Novel Agents Subgroup. He was the founding chair of International Society for Paediatric Oncology Europe Neuroblastoma Committee (SIOPEN). Prof Pearson is a member of the Executive Committee of the Innovative Therapies for Children and Adolescents with Cancer Consortium (ITCC), Chair of the Paediatric Strategy Forum Oversight Committee, Senior Advisor to the Steering Committee of ACCELERATE. He has published over 400 manuscripts on neuroblastoma and early drug development. He retired from clinical practice in May 2014 due to ill health.

Trained as a Paediatric Oncologist, he got his PhD in Pharmacology. He is Professor of Oncology in University Paris Saclay and Gustave Roussy, a large Comprehensive Cancer Center in France. For the last 20 years, he has dedicated his research, clinical and training activities to the development of new drugs for children and adolescents with cancer. He is past President of the EU Academic Consortium Innovative Therapies for Children and Adolescents with Cancer and past President of SIOPE, the European Society of Paediatric Oncology. He is chairing the ACCELERATE International multi-stakeholder platform to speed up innovation for children and adolescents with cancer. In 2020, he received the Leonard M. Rosen Memorial Research Award for his outstanding contribution to childhood cancer policy and advocacy. As a SIOPE representative, he is co-leading WP4 of the IMI2 Conect4Children network ( and coordinates the development of Multi-stakeholder meetings to best address unmet pediatric needs. Author of more than 250 publications in peer-reviewed journals, he is member of several Scientific Councils.

Michel Zwaan was trained at the VU University medical center in MC. From 2014 to 2018 he headed the Pediatric Oncology/Hematology department at Erasmus Medical Center in Rotterdam before moving to the Princess Máxima Center in Utrecht, where he is appointed as principal investigator for Drug Development/Experimental Therapeutics and head of the Trial and Data Center. He also chairs the Clinical Research Committee at the Princess Máxima Center. He is a member of the Executive Committee of ITCC, co-chair of the ITCC HEMA Committee, and chair of the New Agents committee of the I-BFM study group.

Prof Izraeli is the Director of the Pediatric Hematology Oncology Division at the Schneider Children's Medical Center of Israel that is also an ITCC center. He is also the Shapiro professor and the head of the Dotan center for research of hematological malignancies in Tel Aviv University and a research professor at the department of systems biology at the Beckman Institute at City of Hope, Duarte CA. He was recently elected as a founding member of the Israel National Academy of Scientific Medicine. Prof Izraeli is the Treasurer, Chair of the Research Committee and a member of the Executive Board or the European Hematology Association. His research expertise is on childhood leukemia. He published more than 180 peer reviewed scientific publications, has been supported by multiple international research grants and has many international collaborations. He is the co-Chair of the ITCC HEMA Committee.

-- begin --
This entry pairs a crystal structure of CuAg2 with its theoretical XRD peak list. Radiation: a wavelength of 1.5418 Å. Structure: DFT lattice parameters and positions (PBE).
Neutral-atom scattering factors, no anomalous dispersion.

Most intense lines, 10 to 90 degrees two-theta, low angle first:
- d 2.324, 2θ 38.75, I 52
- d 2.315, 2θ 38.90, I 50
- d 2.287, 2θ 39.41, I 100
- d 2.028, 2θ 44.68, I 70
- d 1.931, 2θ 47.05, I 27
- d 1.450, 2θ 64.22, I 11
- d 1.418, 2θ 65.84, I 10
- d 1.400, 2θ 66.80, I 17
- d 1.397, 2θ 67.00, I 17
- d 1.226, 2θ 77.93, I 12
- d 1.223, 2θ 78.12, I 11
- d 1.210, 2θ 79.15, I 23

Cell and atoms:
```
9
Lattice="5.978 -1.418 0.000 5.978 1.418 0.000 -2.143 0.000 8.434" Properties=species:S:1:pos:R:3 pbc="T T T"
Cu 0.000 0.000 0.000
Cu -0.668 0.000 3.039
Cu 6.780 0.000 4.687
Ag -1.310 0.000 5.666
Ag 3.004 0.000 3.802
Ag 2.319 0.000 6.604
Ag 3.949 0.000 1.113
Ag 7.315 0.000 1.926
Ag 6.063 0.000 7.673
```



This entry pairs a crystal structure of YEr2FeCo2Ni6 with its theoretical XRD peak list. Radiation: a wavelength of 1.5418 Å. Structure: DFT lattice parameters and positions (PBE).
Neutral-atom scattering factors, no anomalous dispersion.

Most intense lines, 10 to 90 degrees two-theta, low angle first:
- d 8.019, 2θ 11.03, I 21
- d 2.688, 2θ 33.33, I 51
- d 2.490, 2θ 36.07, I 57
- d 2.467, 2θ 36.42, I 42
- d 2.148, 2θ 42.07, I 45
- d 2.115, 2θ 42.75, I 100
- d 2.030, 2θ 44.64, I 24
- d 1.968, 2θ 46.13, I 29
- d 1.951, 2θ 46.56, I 27
- d 1.353, 2θ 69.45, I 22
- d 1.349, 2θ 69.73, I 18
- d 1.245, 2θ 76.52, I 26

Cell and atoms:
```
12
Lattice="2.490 1.438 8.019 -2.490 1.438 8.019 0.000 -2.875 8.019" Properties=species:S:1:pos:R:3 pbc="T T T"
Y 0.000 0.000 0.000
Er 0.000 0.000 3.335
Er 0.000 0.000 20.724
Fe 0.000 0.000 12.029
Co 0.000 0.000 8.027
Co 0.000 0.000 16.032
Ni -1.249 -0.721 10.020
Ni 0.000 -1.442 14.039
Ni -1.249 0.721 14.039
Ni 1.249 -0.721 10.020
Ni 0.000 1.442 10.020
Ni 1.249 0.721 14.039
```



This entry pairs a crystal structure of ErTm2Al3Ni3 with its theoretical XRD peak list. Radiation: a wavelength of 1.5418 Å. Structure: DFT lattice parameters and positions (PBE).
Neutral-atom scattering factors, no anomalous dispersion.

Most intense lines, 10 to 90 degrees two-theta, low angle first:
- d 3.915, 2θ 22.72, I 31
- d 3.428, 2θ 26.00, I 38
- d 2.968, 2θ 30.11, I 34
- d 2.579, 2θ 34.79, I 100
- d 2.365, 2θ 38.04, I 94
- d 2.244, 2θ 40.19, I 31
- d 1.957, 2θ 46.39, I 23
- d 1.947, 2θ 46.66, I 18
- d 1.647, 2θ 55.83, I 25
- d 1.518, 2θ 61.05, I 36
- d 1.286, 2θ 73.64, I 18
- d 1.260, 2θ 75.44, I 21

Cell and atoms:
```
9
Lattice="3.915 0.000 0.000 0.000 5.938 3.427 0.000 -5.938 3.427" Properties=species:S:1:pos:R:3 pbc="T T T"
Er 0.000 0.000 0.000
Tm 0.000 -2.465 2.584
Tm 0.000 2.465 2.584
Al 1.957 0.000 2.378
Al 1.957 -1.412 4.818
Al 1.957 1.412 4.818
Ni 0.000 0.000 3.999
Ni 1.957 -3.950 4.008
Ni 1.957 3.950 4.008
```
-- stop --
End of the records of crystals.

Michela Casanova is a paediatric oncologist in Milano, Italy. She has been involved in the field of paediatric solid tumours with a special interest in Soft Tissue Sarcomas and New Drug Development. She is the chairman of the New Drug Group of the Italian Paediatric Haematology and Oncology Association; Member of the Executive Committee, Secretary and Co-chair of Solid Tumour Committee of ITCC (Innovative Therapies for Children and Adolescents with Cancer); Board member of the European paediatric Soft Tissue Sarcoma Study Group (EpSSG). Author and co-author of more than 280 papers.

Dr. Molenaar is a principal investigator at the Princess Maxima Centrum. His research group concentrates on translational research in pediatric solid tumours with a focus on Neuroblastoma and Rhabdomyosarcoma. Basic molecular genetic research is used as a starting point and they aim at implementation of their research in precision medicine programs. Dr. Molenaar is a research scientist specialized in target identification and validation in pediatric solid tumors. He is the head of the pediatric cancer precision medicine program and he is also an international advisor on clinical trials in pediatric cancer. He is a member of the ITCC Executive Committee and he is co-chairing the ITCC Solid Tumour Committee.

François Doz is professor of Paediatrics at the University Paris Cité, paediatric oncologist, deputy director for clinical research and training in the Institut Curie’s SIREDO oncology center (care, innovation, and research for children, adolescents and young adults with cancer) and director for training of the Institut Curie’s hospital group. He got his MD, paediatric specialty and master degree in pharmacology in Paris. He then spent two years as a research fellow in the Brain Tumour Research Center, University of California, San Francisco. His main research interests are Paediatric Neuro-oncology, Early Drug Development, Retinoblastoma and Ethics of Clinical Research. He is the author of more than 300 Pubmed referenced papers. He is member of the ITCC Executive Committee, clinical chair of the ITCC Brain Working group (March 20-), past-chair of the SIOPE Brain tumor group (2006-2010) and its medulloblastoma /CNS embryonal tumors working group (2012-2016), founding member and pastchair of the European Retinoblastoma group (2014-2020), previous member of the SIOPE board (2016-2021), previous member, chair and past chair of the SIOP scientific committee (2011-2017). He is a member of the Ethics Committee of the French Pediatric Society.

David T. W. Jones is Head of the Division of Pediatric Glioma Research at the Hopp Children’s Cancer Center, Heidelberg (KiTZ). Since completing his PhD on pediatric brain tumors in Cambridge (UK) in 2009, he has dedicated his scientific career to investigating the molecular underpinnings of childhood gliomas, and how this knowledge can best be applied to help patients in the clinic. The application of ‘omics’ technologies paired with functional/pre-clinical characterization is a central theme of his work, where he has had several prominent authorships in high-impact journals (Nature, Nature Medicine, Nature Genetics, Cell), amongst a total of >300 peer-reviewed publications. The research efforts of his division at the KiTZ are focused on (epi)genomic profiling of gliomas, with subsequent model development and pre-clinical testing. These research efforts have a strong translational focus, as indicated by his role as PI for the international INFORM and MNP2.0 personalized medicine studies. As Translational Chair of ITCC Brain, David takes a keen interest in identifying and supporting clinical trial concepts that are underpinned by a strong molecular/pre-clinical rationale, in order to more rapidly bring effective treatments to children with cancer.

Dr Francisco Bautista is a Pediatric Oncologist at the Princess Máxima Center and a researcher affiliated to the Trial and Data Center (TDC) of the hospital. The Princess Máxima Center centralizes the clinical and research activity in pediatric cancer in the Netherlands. Prior, he was consultant of the Pediatric Oncology Service and Head of the Clinical Trials Unit of Hospital Niño Jesús (Madrid, Spain). Dr Bautista was the principal investigator of more than 30 clinical trials in childhood cancer, and National Coordinator of 4 ITCC academic international trials. He has extensive experience in the field of translational research in oncology and a strong presence in international cooperative groups. He is a member of the ITCC Leukemia/Lymphoma Steering Committee and elected chair of the iBFM Early Clinical Trials Group since May 2021. He has been nominated Chair of the ITCC Sponsor Committee/Network since January 2024.

Nick’s son, Adam, was diagnosed with high-risk neuroblastoma in 2009 at the age of 5. Adam’s disease did not respond to chemotherapy and despite treatment in the UK, Germany, and America, he died at home 4 years later. Today Nick continues to be involved in paediatric cancer as a research advocate and holds a number of voluntary positions. He is a former member of the UK National Cancer Research Institute’s Children’s Group and current neuroblastoma subgroup member, Chair of the Innovative Therapies for Children and Adolescents with Cancer (ITCC) Advocate Committee, Chair of Trustees for the non-profit organisation Solving Kids’ Cancer UK, and Patient and Public Voice Partner for NHS England Clinical Reference Group for Children and Young People’s Cancer.

Karsten Nysom, MD, PhD, is a paediatric oncologist in Rigshospitalet, Copenhagen, Denmark. He is a specialist in tumours of the central nervous system as well as early phase clinical trial for all types of childhood malignancies. He is a member of the ITCC Executive Committee and he is chairing the Education & Training Committee in the Consortium.

Dr. Molenaar is a principal investigator at the Princess Maxima Centrum. His research group concentrates on translational research in pediatric solid tumours with a focus on Neuroblastoma and Rhabdomyosarcoma. Basic molecular genetic research is used as a starting point and they aim at implementation of their research in precision medicine programs. Dr. Molenaar is a research scientist specialized in target identification and validation in pediatric solid tumors. He is the head of the pediatric cancer precision medicine program and he is also an international advisor on clinical trials in pediatric cancer. He is a member of the ITCC Executive Committee and he is co-chairing the ITCC Solid Tumour Committee.

Michela Casanova is a paediatric oncologist in Milano, Italy. She has been involved in the field of paediatric solid tumours with a special interest in Soft Tissue Sarcomas and New Drug Development. She is the chairman of the New Drug Group of the Italian Paediatric Haematology and Oncology Association; Member of the Executive Committee, Secretary and Co-chair of Solid Tumour Committee of ITCC (Innovative Therapies for Children and Adolescents with Cancer); Board member of the European paediatric Soft Tissue Sarcoma Study Group (EpSSG). Author and co-author of more than 280 papers.

François Doz is professor of Paediatrics at the University Paris Cité, paediatric oncologist, deputy director for clinical research and training in the Institut Curie’s SIREDO oncology center (care, innovation, and research for children, adolescents and young adults with cancer) and director for training of the Institut Curie’s hospital group. He got his MD, paediatric specialty and master degree in pharmacology in Paris. He then spent two years as a research fellow in the Brain Tumour Research Center, University of California, San Francisco. His main research interests are Paediatric Neuro-oncology, Early Drug Development, Retinoblastoma and Ethics of Clinical Research. He is the author of more than 300 Pubmed referenced papers. He is member of the ITCC Executive Committee, clinical chair of the ITCC Brain Working group (March 20-), past-chair of the SIOPE Brain tumor group (2006-2010) and its medulloblastoma /CNS embryonal tumors working group (2012-2016), founding member and pastchair of the European Retinoblastoma group (2014-2020), previous member of the SIOPE board (2016-2021), previous member, chair and past chair of the SIOP scientific committee (2011-2017). He is a member of the Ethics Committee of the French Pediatric Society.

David T. W. Jones is Head of the Division of Pediatric Glioma Research at the Hopp Children’s Cancer Center, Heidelberg (KiTZ). Since completing his PhD on pediatric brain tumors in Cambridge (UK) in 2009, he has dedicated his scientific career to investigating the molecular underpinnings of childhood gliomas, and how this knowledge can best be applied to help patients in the clinic. The application of ‘omics’ technologies paired with functional/pre-clinical characterization is a central theme of his work, where he has had several prominent authorships in high-impact journals (Nature, Nature Medicine, Nature Genetics, Cell), amongst a total of >300 peer-reviewed publications. The research efforts of his division at the KiTZ are focused on (epi)genomic profiling of gliomas, with subsequent model development and pre-clinical testing. These research efforts have a strong translational focus, as indicated by his role as PI for the international INFORM and MNP2.0 personalized medicine studies. As Translational Chair of ITCC Brain, David takes a keen interest in identifying and supporting clinical trial concepts that are underpinned by a strong molecular/pre-clinical rationale, in order to more rapidly bring effective treatments to children with cancer.

Prof Izraeli is the Director of the Pediatric Hematology Oncology Division at the Schneider Children's Medical Center of Israel that is also an ITCC center. He is also the Shapiro professor and the head of the Dotan center for research of hematological malignancies in Tel Aviv University and a research professor at the department of systems biology at the Beckman Institute at City of Hope, Duarte CA. He was recently elected as a founding member of the Israel National Academy of Scientific Medicine. Prof Izraeli is the Treasurer, Chair of the Research Committee and a member of the Executive Board or the European Hematology Association. His research expertise is on childhood leukemia. He published more than 180 peer reviewed scientific publications, has been supported by multiple international research grants and has many international collaborations. He is the co-Chair of the ITCC HEMA Committee.

Michel Zwaan was trained at the VU University medical center in MC. From 2014 to 2018 he headed the Pediatric Oncology/Hematology department at Erasmus Medical Center in Rotterdam before moving to the Princess Máxima Center in Utrecht, where he is appointed as principal investigator for Drug Development/Experimental Therapeutics and head of the Trial and Data Center. He also chairs the Clinical Research Committee at the Princess Máxima Center. He is a member of the Executive Committee of ITCC, co-chair of the ITCC HEMA Committee, and chair of the New Agents committee of the I-BFM study group.

Dr Francisco Bautista is a Pediatric Oncologist at the Princess Máxima Center and a researcher affiliated to the Trial and Data Center (TDC) of the hospital. The Princess Máxima Center centralizes the clinical and research activity in pediatric cancer in the Netherlands. Prior, he was consultant of the Pediatric Oncology Service and Head of the Clinical Trials Unit of Hospital Niño Jesús (Madrid, Spain). Dr Bautista was the principal investigator of more than 30 clinical trials in childhood cancer, and National Coordinator of 4 ITCC academic international trials. He has extensive experience in the field of translational research in oncology and a strong presence in international cooperative groups. He is a member of the ITCC Leukemia/Lymphoma Steering Committee and elected chair of the iBFM Early Clinical Trials Group since May 2021. He has been nominated Chair of the ITCC Sponsor Committee/Network since January 2024.

Karsten Nysom, MD, PhD, is a paediatric oncologist in Rigshospitalet, Copenhagen, Denmark. He is a specialist in tumours of the central nervous system as well as early phase clinical trial for all types of childhood malignancies. He is a member of the ITCC Executive Committee and he is chairing the Education & Training Committee in the Consortium.

Nick’s son, Adam, was diagnosed with high-risk neuroblastoma in 2009 at the age of 5. Adam’s disease did not respond to chemotherapy and despite treatment in the UK, Germany, and America, he died at home 4 years later. Today Nick continues to be involved in paediatric cancer as a research advocate and holds a number of voluntary positions. He is a former member of the UK National Cancer Research Institute’s Children’s Group and current neuroblastoma subgroup member, Chair of the Innovative Therapies for Children and Adolescents with Cancer (ITCC) Advocate Committee, Chair of Trustees for the non-profit organisation Solving Kids’ Cancer UK, and Patient and Public Voice Partner for NHS England Clinical Reference Group for Children and Young People’s Cancer.